1. Introduction
1.1 These Terms and Conditions govern the Wildside Rewards Program. It is the Member’s responsibility to read and understand them.
1.2 These Terms and Conditions are effective as at the date the membership is activated and may be amended by Wildside Magazine and/or its Rewards Partners at any time.
1.3 Wildside Loyalty Rewards benefits are provided on the terms and conditions specified by its Rewards Partners.
2. Definitions
2.1 In these Terms and Conditions unless the context otherwise requires:
WR means Wildside Rewards
Active Member at a point in time, means a Member who has paid the annual membership fee
Anniversary Month means each anniversary of the month during which a Member joined WLR
WR Benefit means a benefit under the Wildside Rewards Programe
Card means the WR Membership card
Claim means any action, legal claim, demand, suit, judgment or proceedings of any nature or kind whatsoever;
Eligible Products means the goods and services in relation to which WR Benefits are offered to Members from time to time by a Rewards Partner under its Reward Scheme;
Loss means all liabilities, losses, damages and costs and expenses suffered or incurred in connection with a Claim including, without limitation, consequential or economic loss or loss of profits;
Marketing Material means any advertising, promotional, marketing or consumer material or content prepared by or on behalf of Wildside Magazine any Rewards Partner which:
a. is intended for distribution through any Wildside Magazine or WR advertising, marketing or sales channel
Membership Account means in relation to each Member the membership account maintained by or on behalf of WR in which all membership details are held and which records WLR Benefits;
Membership Year:
a. for the first year, commences on the day of joining WR and concludes on the last day of the Member’s Anniversary Month the following year; and
b. subject to Membership renewal, for each successive year commences on the first day of the month following a Member’s Anniversary Month and concludes on the last day of the Member’s Anniversary Month in each relevant following year,
c. unless otherwise determined under clause 5.5;
Rewards Partner means an entity that offers Wildside Loyalty Reward Benefits to Members under its Reward Scheme
Terms and Conditions means these are the WR Program Terms and Conditions.
2.2 In these Terms and Conditions, unless the contrary intention appears:
a. the singular includes the plural and vice versa;
b. a reference to ‘include’ or ‘including’ means ‘including but not limited to’; and
3. Changes to Aquire Loyalty
3.1 Subject to clause 3.2 WLR reserves the right to make any changes (whether material or otherwise) to the WR Program, the Terms and Conditions and the WR Benefits offered including changes to:
a. WR Benefits, including their continued availability;
b. Membership requirements, including membership fees;
c. the expiry of Membership
d. the way in which the WR Program is administered;
e. the Reward Partners and the rewards they offer
3.2 WR will inform Members of material changes to these Terms and Conditions and, where such changes will limit WR Benefits, when practicable, will give Members at least 30 days’ notice by updating these Terms and Conditions and related information on www.wildsidesa.co.za.
3.3 Any applicable fees will be posted on www.wildsidesa.co.za
4. Termination or suspension of WR
4.1 Wildside Magazine gives no undertaking as to the continuing availability of the WR Program. Wildside Magazine may terminate or suspend the WR Program at any time. WR will give at least 60 days’ notice to Members of such termination or suspension, except if Wildside Magazine ceases to operate or for other reasons outside Wildside Magazine’s control, in which case WR will cease immediately.
5. Membership
5.1 Membership to the WR programme is open only to South African’s residents having a postal mailing address in South Africa and who pay all fees (if any) due in any Membership Year. Members who cease meeting these requirements will forfeit their Membership entitlement and all WR Benefits will expire.
5.2 WR has the right to accept or reject any application for Membership in its sole discretion.
5.3 By applying for Membership, using the Membership Account or earning or using WLR Benefits, the applicant agrees that upon acceptance of the application by WR, the applicant will become a Member and will be bound by these Terms and Conditions.
5.4 Each Member can have only one Membership Account. If more than one Membership Account has been assigned to a Member in error, the Member must promptly inform WR and WR may cancel the excess Membership(s). Membership is not transferable.
6. Use of the Membership Card
6.1 WR will issue a Card to Members.
6.2 The Card is and will remain the property of Wildside Magazine and must be returned or destroyed on demand. It is not a card for payment.
6.3 The Card is valid for use only by the Member to whom it was issued and is not transferable in any circumstances.
6.4 If a Card has been issued, WR or Rewards Partners require the Member or Benefit Earner to produce their Card in order to redeem the rewards.
6.5 In the event of loss, theft or unauthorised use of a Card, it is the responsibility of the relevant Member to advise WR as soon as possible.
[Misplaced data records]
/*
[1]
This entry pairs a crystal structure of Ho3TeRhCl with its calculated powder X-ray diffraction pattern. Radiation: Cu Kα, 1.54184 Å. Structure: a GGA-PBE-relaxed structure.
Intensities are scaled so that the largest is 100.

Peak list (12 most intense, 10 to 90 degrees two-theta, in order of falling intensity)
d (Å)	two_theta	Rel. int.
2.930	30.51	100
2.053	44.11	25
2.583	34.73	24
8.366	10.58	23
3.227	27.65	23
2.244	40.18	21
3.110	28.70	19
2.380	37.81	17
2.420	37.15	16
1.810	50.43	16
2.755	32.50	15
2.920	30.62	14

Atomic structure:
a b c (Å): 8.4029 4.1065 9.7233
angles (deg): 90.00 95.40 90.00
Fractional coordinates of all 12 atoms:
Ho  0.1324  0.2500  0.3222
Ho  0.1451  0.2500  0.8977
Ho  0.2995  0.7500  0.6200
Ho  0.7005  0.2500  0.3800
Ho  0.8549  0.7500  0.1023
Ho  0.8676  0.7500  0.6778
Te  0.4115  0.7500  0.3198
Te  0.5885  0.2500  0.6802
Rh  0.0677  0.2500  0.6106
Rh  0.9323  0.7500  0.3894
Cl  0.3518  0.7500  0.9168
Cl  0.6482  0.2500  0.0832


[2]
This entry pairs a crystal structure of Pr12Hg3O4 with its calculated powder X-ray diffraction pattern. Radiation: Cu Kα, 1.54184 Å. Structure: a GGA-PBE-relaxed structure.
Intensities are scaled so that the largest is 100.

Peak list (12 most intense, 10 to 90 degrees two-theta, in order of falling intensity)
d (Å)	two_theta	Rel. int.
2.894	30.90	100
2.506	35.83	57
1.511	61.35	43
1.772	51.58	40
1.121	86.93	18
1.150	84.21	18
1.447	64.40	14
7.088	12.49	11
1.253	75.94	6
4.092	21.72	5
2.679	33.45	4
3.170	28.15	3

Atomic structure:
a b c (Å): 8.6809 8.6809 8.6809
angles (deg): 109.47 109.47 109.47
Fractional coordinates of all 19 atoms:
Pr  0.0008  0.7491  0.2517
Pr  0.2509  0.2517  0.5026
Pr  0.2509  0.7483  0.9992
Pr  0.2517  0.0008  0.7491
Pr  0.2517  0.5026  0.2509
Pr  0.4974  0.7491  0.7483
Pr  0.5026  0.2509  0.2517
Pr  0.7483  0.4974  0.7491
Pr  0.7483  0.9992  0.2509
Pr  0.7491  0.2517  0.0008
Pr  0.7491  0.7483  0.4974
Pr  0.9992  0.2509  0.7483
Hg  0.0000  0.5000  0.5000
Hg  0.5000  0.0000  0.5000
Hg  0.5000  0.5000  0.0000
O  0.0000  0.0000  0.5000
O  0.0000  0.5000  0.0000
O  0.5000  0.0000  0.0000
O  0.5000  0.5000  0.5000


[3]
This entry pairs a crystal structure of Nb4P2C with its calculated powder X-ray diffraction pattern. Radiation: Cu Kα, 1.54184 Å. Structure: a GGA-PBE-relaxed structure.
Intensities are scaled so that the largest is 100.

Peak list (12 most intense, 10 to 90 degrees two-theta, in order of falling intensity)
d (Å)	two_theta	Rel. int.
2.486	36.13	100
2.610	34.36	84
2.522	35.59	66
2.084	43.41	43
2.100	43.07	37
1.686	54.42	24
2.357	38.19	21
1.566	58.98	21
2.810	31.85	21
2.772	32.30	20
1.859	49.00	19
1.601	57.58	19

Atomic structure:
a b c (Å): 6.2248 5.4771 6.7476
angles (deg): 90.00 107.71 90.00
Fractional coordinates of all 14 atoms:
Nb  0.0401  0.0033  0.2481
Nb  0.0401  0.4967  0.2481
Nb  0.3801  0.2500  0.0960
Nb  0.4265  0.2500  0.5976
Nb  0.5735  0.7500  0.4024
Nb  0.6199  0.7500  0.9040
Nb  0.9599  0.5033  0.7519
Nb  0.9599  0.9967  0.7519
*/
[Back to the entry]
7. Member obligations and responsibilities
7.1 Members must ensure that they:
a. comply with these Terms and Conditions; and
b. do not abuse or misuse any WR Benefits, services or arrangements accorded to the Member as a result of Membership, including by:
i. engaging in illegal or fraudulent activities;
ii. supplying or attempting to supply false or misleading information, or making a misrepresentation to WR or any of its Reward Partners
iii. selling, assigning or transferring, or offering to sell, assign or transfer any WR Benefit other than in accordance with these Terms and Conditions ; or
iv. acting in a hostile, abusive or aggressive way towards WR representatives or any Rewards Partner.
v. creating multiple Membership Accounts that each receive WR Benefits
7.2 Each Member is responsible for keeping its Membership details up to date and must notify WR of any changes, omissions or incorrect details upon the Member becoming aware of them. WR is not responsible for any failure by a Member to notify WR of any such changes, omissions or incorrect details, or for any incorrect information.
8. Suspension or termination of Membership
8.1 If a Member has breached any of these Terms and Conditions or has failed to pay any money due under WR (including Membership Fees) by the due date, whether intentionally or otherwise, WR may do any one or more of the following:
a. suspend the operation of the Member’s Membership Account;
b. suspend the right of the Member to use the Card and/or the right to earn or receive WR Benefits;
c. cancel or refuse to honour any discount or rebate that has been offered or awarded to the Member;
d. terminate the Membership.
8.2 If WR intends to take action under clause 8.1, it will notify the Member of its intention and the reason for that action.
8.3 Unless otherwise required by applicable laws, WR and Wildside Magazine will not be liable for any Loss whatsoever suffered by any person as a result of any action under clauses 8.1 or 8.2.
9. Reward Schemes and Benefits
9.1 WR Benefits are offered under the applicable Reward Scheme’s terms and conditions. A Reward Partner may limit the WR Benefits offered. For example, WR Benefits may not be redeemed provided the Reward Partner has availability / stock.
9.2 It is the responsibility of each Member to ensure that it has read the terms and conditions of each Reward Partner and is aware of the current Benefits to which a Member may be entitled as well as how and when WR Benefits may be used.
9.3 All goods and services supplied by a Rewards Partner are supplied in the terms specified by the Rewards Partner. Without limiting the foregoing, all benefits received a Benefit Earner is subject to the applicable Rewards Partners terms and conditions.
11. Validity of WR Benefits and Membership Account
11.1 Except as otherwise provided in these Terms and Conditions, WR benefits will not expire as long as the Member remains an Active Member; unless the Rewards Partner has a specific expiry date noted in their terms and conditions.
11.2 WR benefits can not be exchanged for cash
12. Personal information
12.1 It is a condition of Membership of the WR Program that a Member consents and authorises WR to collect, use, store and disclose, for the purposes described in clause 16.2, the information it provides on its application form.
12.2 The purposes referred to in clause 16.1 are for each of WR and the applicable Rewards Partner to:
a. operate and manage the WR Program, including making goods and services and WLR Benefits available to Members;
b. improve Member service, including by means of research, marketing, product development and planning;
c. market its products or services or the products or services of third parties;
d. facilitate any third party providing benefits to the Member